-- begin --
Here is Y2OsC2 after structural relaxation from Alexandria. Energies are from GGA-PBEsol.

Cell and atoms, written as POSCAR:
```
Y2OsC2
1.0
6.3981 0.0000 0.0000
0.0000 5.0757 0.0000
0.0000 0.0000 9.7016
Y Os C
8 4 8
Direct
0.0270 0.2500 0.2192
0.1836 0.2500 0.5521
0.3164 0.7500 0.0521
0.4730 0.7500 0.7192
0.5270 0.2500 0.2808
0.6836 0.2500 0.9479
0.8164 0.7500 0.4479
0.9730 0.7500 0.7808
0.2242 0.2500 0.8654
0.2758 0.7500 0.3654
0.7242 0.2500 0.6346
0.7758 0.7500 0.1346
0.0393 0.7500 0.2421
0.1743 0.7500 0.5535
0.3257 0.2500 0.0535
0.4607 0.2500 0.7421
0.5393 0.7500 0.2579
0.6743 0.7500 0.9465
0.8257 0.2500 0.4465
0.9607 0.2500 0.7579
```

Output
The formation energy from the elements is -425 meV/atom. As for the crystal system: orthorhombic. The density of states at the Fermi level comes out at 9.117 states/eV per cell. The total energy comes out at -189.090 eV per cell.

~~~~~

[1]
An optimized crystal structure of Cu2ReSb. Source: Alexandria via LeMat-Bulk, functional PBE.

Structure (CIF):
```
data_Cu2ReSb
_chemical_formula_sum 'Cu4 Re2 Sb2'
_symmetry_space_group_name_H-M 'C 1 m 1'
_symmetry_Int_Tables_number 8
_symmetry_space_group_name_Hall 'C -2y'
_cell_length_a 9.1344
_cell_length_b 2.8455
_cell_length_c 4.8568
_cell_angle_alpha 90.00
_cell_angle_beta 100.33
_cell_angle_gamma 90.00
loop_
_atom_site_label
_atom_site_fract_x
_atom_site_fract_y
_atom_site_fract_z
Cu1 0.0000 0.0000 0.0000
Cu2 0.2423 0.5000 0.1964
Re1 0.2643 0.0000 0.7304
Sb1 0.0094 0.5000 0.4891
```

Output
- VASP energy (eV per cell) = -45.73

=====

[2]
An optimized crystal structure of Pm5Si2H. Source: Alexandria via LeMat-Bulk, functional PBE.

Structure (CIF):
```
data_Pm5Si2H
_chemical_formula_sum 'Pm20 Si8 H4'
_symmetry_space_group_name_H-M 'C m c m'
_symmetry_Int_Tables_number 63
_symmetry_space_group_name_Hall '-C 2c 2'
_cell_length_a 5.3457
_cell_length_b 9.5973
_cell_length_c 15.1147
_cell_angle_alpha 90.00
_cell_angle_beta 90.00
_cell_angle_gamma 90.00
loop_
_atom_site_label
_atom_site_fract_x
_atom_site_fract_y
_atom_site_fract_z
Pm1 0.0000 0.0878 0.1099
Pm2 0.0000 0.2503 0.7500
Pm3 0.0000 0.4120 0.1099
Si1 0.0000 0.2501 0.5611
H1 0.0000 0.2495 0.2500
```

Output
- VASP energy (eV per cell) = -162.75

=====

[3]
An optimized crystal structure of ThCuPt. Source: Alexandria via LeMat-Bulk, functional PBE.

Structure (CIF):
```
data_ThCuPt
_chemical_formula_sum 'Th2 Cu2 Pt2'
_symmetry_space_group_name_H-M 'I 4 m m'
_symmetry_Int_Tables_number 107
_symmetry_space_group_name_Hall 'I 4 -2'
_cell_length_a 3.7991
_cell_length_b 3.7991
_cell_length_c 8.7939
_cell_angle_alpha 90.00
_cell_angle_beta 90.00
_cell_angle_gamma 90.00
loop_
_atom_site_label
_atom_site_fract_x
_atom_site_fract_y
_atom_site_fract_z
Th1 0.0000 0.0000 0.0000
Cu1 0.0000 0.0000 0.6733
Pt1 0.0000 0.0000 0.3491
```

Output
- offset from the most stable computed form (meV/atom) = 184
- formation enthalpy at 0 K (kJ/mol of atoms) = -57.7

=====

[4]
An optimized crystal structure of BaAs2CBr. Source: Alexandria via LeMat-Bulk, functional PBE.

Structure (CIF):
```
data_BaAs2CBr
_chemical_formula_sum 'Ba1 As2 C1 Br1'
_symmetry_space_group_name_H-M 'P 4/m m m'
_symmetry_Int_Tables_number 123
_symmetry_space_group_name_Hall '-P 4 2'
_cell_length_a 4.3670
_cell_length_b 4.3670
_cell_length_c 6.6648
_cell_angle_alpha 90.00
_cell_angle_beta 90.00
_cell_angle_gamma 90.00
loop_
_atom_site_label
_atom_site_fract_x
_atom_site_fract_y
_atom_site_fract_z
Ba1 0.0000 0.0000 0.0000
As1 0.0000 0.5000 0.5000
C1 0.5000 0.5000 0.5000
Br1 0.5000 0.5000 0.0000
```

Output
- offset from the most stable computed form (meV/atom) = 0

=====

[5]
An optimized crystal structure of SiSbCl. Source: Alexandria via LeMat-Bulk, functional PBE.

Structure (CIF):
```
data_SiSbCl
_chemical_formula_sum 'Si1 Sb1 Cl1'
_symmetry_space_group_name_H-M 'P 3 m 1'
_symmetry_Int_Tables_number 156
_symmetry_space_group_name_Hall 'P 3 -2"'
_cell_length_a 4.8817
_cell_length_b 4.8817
_cell_length_c 3.0917
_cell_angle_alpha 90.00
-- stop --

Your job: restate the lines above from the first line to the one with "As1 0.0000" with every line break kept.

Here is Y2OsC2 after structural relaxation from Alexandria. Energies are from GGA-PBEsol.

Cell and atoms, written as POSCAR:
```
Y2OsC2
1.0
6.3981 0.0000 0.0000
0.0000 5.0757 0.0000
0.0000 0.0000 9.7016
Y Os C
8 4 8
Direct
0.0270 0.2500 0.2192
0.1836 0.2500 0.5521
0.3164 0.7500 0.0521
0.4730 0.7500 0.7192
0.5270 0.2500 0.2808
0.6836 0.2500 0.9479
0.8164 0.7500 0.4479
0.9730 0.7500 0.7808
0.2242 0.2500 0.8654
0.2758 0.7500 0.3654
0.7242 0.2500 0.6346
0.7758 0.7500 0.1346
0.0393 0.7500 0.2421
0.1743 0.7500 0.5535
0.3257 0.2500 0.0535
0.4607 0.2500 0.7421
0.5393 0.7500 0.2579
0.6743 0.7500 0.9465
0.8257 0.2500 0.4465
0.9607 0.2500 0.7579
```

Output
The formation energy from the elements is -425 meV/atom. As for the crystal system: orthorhombic. The density of states at the Fermi level comes out at 9.117 states/eV per cell. The total energy comes out at -189.090 eV per cell.

~~~~~

[1]
An optimized crystal structure of Cu2ReSb. Source: Alexandria via LeMat-Bulk, functional PBE.

Structure (CIF):
```
data_Cu2ReSb
_chemical_formula_sum 'Cu4 Re2 Sb2'
_symmetry_space_group_name_H-M 'C 1 m 1'
_symmetry_Int_Tables_number 8
_symmetry_space_group_name_Hall 'C -2y'
_cell_length_a 9.1344
_cell_length_b 2.8455
_cell_length_c 4.8568
_cell_angle_alpha 90.00
_cell_angle_beta 100.33
_cell_angle_gamma 90.00
loop_
_atom_site_label
_atom_site_fract_x
_atom_site_fract_y
_atom_site_fract_z
Cu1 0.0000 0.0000 0.0000
Cu2 0.2423 0.5000 0.1964
Re1 0.2643 0.0000 0.7304
Sb1 0.0094 0.5000 0.4891
```

Output
- VASP energy (eV per cell) = -45.73

=====

[2]
An optimized crystal structure of Pm5Si2H. Source: Alexandria via LeMat-Bulk, functional PBE.

Structure (CIF):
```
data_Pm5Si2H
_chemical_formula_sum 'Pm20 Si8 H4'
_symmetry_space_group_name_H-M 'C m c m'
_symmetry_Int_Tables_number 63
_symmetry_space_group_name_Hall '-C 2c 2'
_cell_length_a 5.3457
_cell_length_b 9.5973
_cell_length_c 15.1147
_cell_angle_alpha 90.00
_cell_angle_beta 90.00
_cell_angle_gamma 90.00
loop_
_atom_site_label
_atom_site_fract_x
_atom_site_fract_y
_atom_site_fract_z
Pm1 0.0000 0.0878 0.1099
Pm2 0.0000 0.2503 0.7500
Pm3 0.0000 0.4120 0.1099
Si1 0.0000 0.2501 0.5611
H1 0.0000 0.2495 0.2500
```

Output
- VASP energy (eV per cell) = -162.75

=====

[3]
An optimized crystal structure of ThCuPt. Source: Alexandria via LeMat-Bulk, functional PBE.

Structure (CIF):
```
data_ThCuPt
_chemical_formula_sum 'Th2 Cu2 Pt2'
_symmetry_space_group_name_H-M 'I 4 m m'
_symmetry_Int_Tables_number 107
_symmetry_space_group_name_Hall 'I 4 -2'
_cell_length_a 3.7991
_cell_length_b 3.7991
_cell_length_c 8.7939
_cell_angle_alpha 90.00
_cell_angle_beta 90.00
_cell_angle_gamma 90.00
loop_
_atom_site_label
_atom_site_fract_x
_atom_site_fract_y
_atom_site_fract_z
Th1 0.0000 0.0000 0.0000
Cu1 0.0000 0.0000 0.6733
Pt1 0.0000 0.0000 0.3491
```

Output
- offset from the most stable computed form (meV/atom) = 184
- formation enthalpy at 0 K (kJ/mol of atoms) = -57.7

=====

[4]
An optimized crystal structure of BaAs2CBr. Source: Alexandria via LeMat-Bulk, functional PBE.

Structure (CIF):
```
data_BaAs2CBr
_chemical_formula_sum 'Ba1 As2 C1 Br1'
_symmetry_space_group_name_H-M 'P 4/m m m'
_symmetry_Int_Tables_number 123
_symmetry_space_group_name_Hall '-P 4 2'
_cell_length_a 4.3670
_cell_length_b 4.3670
_cell_length_c 6.6648
_cell_angle_alpha 90.00
_cell_angle_beta 90.00
_cell_angle_gamma 90.00
loop_
_atom_site_label
_atom_site_fract_x
_atom_site_fract_y
_atom_site_fract_z
Ba1 0.0000 0.0000 0.0000
As1 0.0000 0.5000 0.5000